== Work order ==
What is needed: transcribe everything below word for word.
== Given ==
Entry 1:
36
Properties=species:S:1:pos:R:3:forces:R:3 method="wB97M-V/def2-TZVPD" charge=0 smiles="C=CCC.O.O.O.O.O.O.O.O" total_energy_ev=-20913.661 orbital_gap_ev=9.25 relative_energy_kj_mol=390.2 lumo_ev=-0.01
H -0.9233 -0.8816 3.6427 -0.3295 -0.3660 -0.2221
H -1.6246 0.1225 -0.0093 1.9647 -1.4969 2.0410
O 0.0549 -2.5071 1.4558 -1.6037 -6.2453 0.3508
H -0.8913 -1.2949 -1.7084 -2.1676 0.2837 -2.1552
H 3.1156 0.1422 -0.3079 -1.0392 -1.9013 -1.8558
O -1.3045 -0.5307 -3.7643 -0.3760 -2.5854 -1.8621
O -0.0678 -0.5835 3.3507 2.2531 -1.5387 -2.3722
H -3.9949 -0.1050 -0.0052 0.4704 -0.2771 -0.5891
H -1.2038 3.9369 0.0280 -0.0489 1.0234 0.1633
H -0.2191 2.4896 -0.7650 -2.3669 1.3769 0.7971
H -2.3038 -0.4593 -3.8547 1.9129 -0.4082 -0.0924
O 2.7554 -0.4767 -1.0548 0.5738 1.1225 1.7162
O 2.1691 2.7427 -0.2899 -5.2111 -2.2533 5.7045
H -0.2098 -2.8264 0.5550 0.1333 1.7001 0.1349
H 2.7149 -1.3967 -0.7067 0.4029 0.8615 0.0107
H -4.0965 0.4022 -1.6442 -0.9210 1.5040 -1.3653
O 2.6622 -2.4730 1.1539 4.6544 4.7155 -0.5694
H 1.7557 2.0339 -0.7546 -0.7513 -1.0467 -0.2385
H 0.4128 -1.1954 -1.2651 -0.1935 -0.2334 1.2163
H -3.2180 2.3778 0.1637 -0.4938 0.3379 0.2691
C -3.4174 0.0368 -0.9478 1.0497 -2.0330 1.4680
H -0.1005 -3.5281 1.8508 0.8753 4.1799 -0.5311
H 1.7598 -2.5327 1.1596 -3.8834 -0.4976 0.2408
C -2.2783 2.0989 -0.2610 2.6638 2.1972 0.2192
H 1.3257 1.7509 1.7417 -2.0894 2.9271 -2.1721
O 1.7628 1.1276 2.2163 0.8168 -4.5269 3.2614
H -3.0775 -0.9094 -1.3971 -0.7667 -0.4134 0.5506
H 2.7398 3.0080 -0.8601 6.1257 3.2044 -5.5660
H 2.7596 -1.3916 1.1277 -0.1630 -4.0776 0.5938
H -0.9775 -1.3411 -4.3720 -1.5240 2.8813 2.0181
C -1.2326 2.9572 -0.3601 0.7702 -3.0098 -0.6373
O -0.4684 -1.4697 -0.9063 2.8937 -0.5599 0.5008
H 0.3137 -1.2286 2.5745 -2.1295 1.9400 2.8576
H 1.0628 0.5748 2.7357 1.4330 1.7283 -1.1645
H -1.6170 0.7372 -1.6914 0.6019 -0.0889 0.8044
C -2.0738 0.7201 -0.6858 -3.5373 1.5757 -3.5256

Entry 2:
120
Properties=species:S:1:pos:R:3:forces:R:3 method="wB97M-V/def2-TZVPD" charge=0 total_energy_ev=-83190.021 orbital_gap_ev=9.80 relative_energy_kj_mol=1523.9 lumo_ev=-0.45
O 3.7662 -4.0915 -2.2398 0.4262 -0.4020 1.7784
O 0.6233 -3.7310 -2.1245 1.6736 1.8695 0.8609
H 0.8191 6.3612 -2.0064 -0.3977 -1.4123 -1.7304
H 3.3891 -4.3707 -3.0339 -1.8712 -1.4675 -1.8098
H 0.3153 -0.0521 -2.9113 1.5827 1.1214 1.8358
O -5.6451 -0.4651 -0.9003 1.4748 -2.3095 -1.0450
H -0.3421 -1.7409 2.7925 2.2752 -0.2536 1.6693
H -0.9316 3.4548 -2.5155 -2.3791 3.2417 -4.9942
O 3.7844 -2.9358 3.6781 3.5578 -3.5092 -4.1274
O -1.3392 -0.7424 6.3026 -0.1560 0.3600 0.0413
O 6.1780 -0.1995 0.6765 -0.5350 6.3688 -2.9847
O -0.3734 -2.4037 0.7824 -0.5363 1.5507 -2.6790
O 2.8337 -1.5930 -2.2273 4.8090 -1.0044 -2.7940
H -1.8740 1.1936 0.3726 -1.5931 6.9305 -1.1777
O 1.1650 0.2163 4.5147 1.5497 2.9401 2.5025
H 2.7613 2.5621 0.2648 2.9086 2.1848 -0.0165
H 0.1632 2.0700 4.9318 0.0786 -0.2494 0.0995
H -0.8954 0.1159 0.0739 2.4457 0.1171 -1.1174
H 2.3673 -1.8885 -4.7746 -0.0554 0.7381 1.0143
H 6.4517 -0.5635 1.4562 1.1641 -1.3360 3.4540
O 2.2868 -4.8327 1.3727 2.0926 -1.4848 0.6198
H 3.5052 -2.9872 4.5063 -2.1073 0.2439 5.4174
O 1.4657 -0.5507 -0.2132 -1.6422 -1.9969 4.9270
H 3.8028 0.6219 1.0791 -0.4497 1.5314 -1.1593
H -1.0072 -1.3911 -2.0148 0.0554 0.1289 -0.8828
H -0.9500 -4.5162 1.4694 -0.4917 0.2544 -0.1088
H -0.0834 4.9104 3.1402 4.6902 4.7288 -6.1715
H -2.7369 -1.9781 -1.1779 0.5206 3.2159 -1.7846
H -2.5923 -0.6221 -0.5355 0.3498 0.9809 -0.1550
O -3.7052 -1.0120 -5.3383 -0.1116 0.1182 -0.9014
O -1.3710 6.3390 0.9025 -0.1163 -1.1204 -0.5360
H -2.9976 4.4129 -2.5305 -0.4274 0.2895 1.1924
H -1.6250 1.5274 3.1589 0.3103 -0.8118 -1.9606
O -1.7712 1.4586 4.0798 -1.2108 1.3458 0.2111
H -1.9094 3.2109 1.7056 -1.9237 -0.8009 -2.0350
H 1.4457 -4.6995 1.7671 -1.1599 0.3963 0.5576
O 1.8850 2.6066 -5.5288 1.2070 -0.0085 2.6341
H -3.3880 -4.1886 -0.1778 -1.9994 1.6175 -1.2582
H -2.1944 -0.3008 2.3103 0.4954 1.2634 -0.7156
H -0.6567 -2.4147 -4.5277 1.1731 -0.7818 -1.3001
== Solution ==
Entry 1:
36
Properties=species:S:1:pos:R:3:forces:R:3 method="wB97M-V/def2-TZVPD" charge=0 smiles="C=CCC.O.O.O.O.O.O.O.O" total_energy_ev=-20913.661 orbital_gap_ev=9.25 relative_energy_kj_mol=390.2 lumo_ev=-0.01
H -0.9233 -0.8816 3.6427 -0.3295 -0.3660 -0.2221
H -1.6246 0.1225 -0.0093 1.9647 -1.4969 2.0410
O 0.0549 -2.5071 1.4558 -1.6037 -6.2453 0.3508
H -0.8913 -1.2949 -1.7084 -2.1676 0.2837 -2.1552
H 3.1156 0.1422 -0.3079 -1.0392 -1.9013 -1.8558
O -1.3045 -0.5307 -3.7643 -0.3760 -2.5854 -1.8621
O -0.0678 -0.5835 3.3507 2.2531 -1.5387 -2.3722
H -3.9949 -0.1050 -0.0052 0.4704 -0.2771 -0.5891
H -1.2038 3.9369 0.0280 -0.0489 1.0234 0.1633
H -0.2191 2.4896 -0.7650 -2.3669 1.3769 0.7971
H -2.3038 -0.4593 -3.8547 1.9129 -0.4082 -0.0924
O 2.7554 -0.4767 -1.0548 0.5738 1.1225 1.7162
O 2.1691 2.7427 -0.2899 -5.2111 -2.2533 5.7045
H -0.2098 -2.8264 0.5550 0.1333 1.7001 0.1349
H 2.7149 -1.3967 -0.7067 0.4029 0.8615 0.0107
H -4.0965 0.4022 -1.6442 -0.9210 1.5040 -1.3653
O 2.6622 -2.4730 1.1539 4.6544 4.7155 -0.5694
H 1.7557 2.0339 -0.7546 -0.7513 -1.0467 -0.2385
H 0.4128 -1.1954 -1.2651 -0.1935 -0.2334 1.2163
H -3.2180 2.3778 0.1637 -0.4938 0.3379 0.2691
C -3.4174 0.0368 -0.9478 1.0497 -2.0330 1.4680
H -0.1005 -3.5281 1.8508 0.8753 4.1799 -0.5311
H 1.7598 -2.5327 1.1596 -3.8834 -0.4976 0.2408
C -2.2783 2.0989 -0.2610 2.6638 2.1972 0.2192
H 1.3257 1.7509 1.7417 -2.0894 2.9271 -2.1721
O 1.7628 1.1276 2.2163 0.8168 -4.5269 3.2614
H -3.0775 -0.9094 -1.3971 -0.7667 -0.4134 0.5506
H 2.7398 3.0080 -0.8601 6.1257 3.2044 -5.5660
H 2.7596 -1.3916 1.1277 -0.1630 -4.0776 0.5938
H -0.9775 -1.3411 -4.3720 -1.5240 2.8813 2.0181
C -1.2326 2.9572 -0.3601 0.7702 -3.0098 -0.6373
O -0.4684 -1.4697 -0.9063 2.8937 -0.5599 0.5008
H 0.3137 -1.2286 2.5745 -2.1295 1.9400 2.8576
H 1.0628 0.5748 2.7357 1.4330 1.7283 -1.1645
H -1.6170 0.7372 -1.6914 0.6019 -0.0889 0.8044
C -2.0738 0.7201 -0.6858 -3.5373 1.5757 -3.5256

Entry 2:
120
Properties=species:S:1:pos:R:3:forces:R:3 method="wB97M-V/def2-TZVPD" charge=0 total_energy_ev=-83190.021 orbital_gap_ev=9.80 relative_energy_kj_mol=1523.9 lumo_ev=-0.45
O 3.7662 -4.0915 -2.2398 0.4262 -0.4020 1.7784
O 0.6233 -3.7310 -2.1245 1.6736 1.8695 0.8609
H 0.8191 6.3612 -2.0064 -0.3977 -1.4123 -1.7304
H 3.3891 -4.3707 -3.0339 -1.8712 -1.4675 -1.8098
H 0.3153 -0.0521 -2.9113 1.5827 1.1214 1.8358
O -5.6451 -0.4651 -0.9003 1.4748 -2.3095 -1.0450
H -0.3421 -1.7409 2.7925 2.2752 -0.2536 1.6693
H -0.9316 3.4548 -2.5155 -2.3791 3.2417 -4.9942
O 3.7844 -2.9358 3.6781 3.5578 -3.5092 -4.1274
O -1.3392 -0.7424 6.3026 -0.1560 0.3600 0.0413
O 6.1780 -0.1995 0.6765 -0.5350 6.3688 -2.9847
O -0.3734 -2.4037 0.7824 -0.5363 1.5507 -2.6790
O 2.8337 -1.5930 -2.2273 4.8090 -1.0044 -2.7940
H -1.8740 1.1936 0.3726 -1.5931 6.9305 -1.1777
O 1.1650 0.2163 4.5147 1.5497 2.9401 2.5025
H 2.7613 2.5621 0.2648 2.9086 2.1848 -0.0165
H 0.1632 2.0700 4.9318 0.0786 -0.2494 0.0995
H -0.8954 0.1159 0.0739 2.4457 0.1171 -1.1174
H 2.3673 -1.8885 -4.7746 -0.0554 0.7381 1.0143
H 6.4517 -0.5635 1.4562 1.1641 -1.3360 3.4540
O 2.2868 -4.8327 1.3727 2.0926 -1.4848 0.6198
H 3.5052 -2.9872 4.5063 -2.1073 0.2439 5.4174
O 1.4657 -0.5507 -0.2132 -1.6422 -1.9969 4.9270
H 3.8028 0.6219 1.0791 -0.4497 1.5314 -1.1593
H -1.0072 -1.3911 -2.0148 0.0554 0.1289 -0.8828
H -0.9500 -4.5162 1.4694 -0.4917 0.2544 -0.1088
H -0.0834 4.9104 3.1402 4.6902 4.7288 -6.1715
H -2.7369 -1.9781 -1.1779 0.5206 3.2159 -1.7846
H -2.5923 -0.6221 -0.5355 0.3498 0.9809 -0.1550
O -3.7052 -1.0120 -5.3383 -0.1116 0.1182 -0.9014
O -1.3710 6.3390 0.9025 -0.1163 -1.1204 -0.5360
H -2.9976 4.4129 -2.5305 -0.4274 0.2895 1.1924
H -1.6250 1.5274 3.1589 0.3103 -0.8118 -1.9606
O -1.7712 1.4586 4.0798 -1.2108 1.3458 0.2111
H -1.9094 3.2109 1.7056 -1.9237 -0.8009 -2.0350
H 1.4457 -4.6995 1.7671 -1.1599 0.3963 0.5576
O 1.8850 2.6066 -5.5288 1.2070 -0.0085 2.6341
H -3.3880 -4.1886 -0.1778 -1.9994 1.6175 -1.2582
H -2.1944 -0.3008 2.3103 0.4954 1.2634 -0.7156
H -0.6567 -2.4147 -4.5277 1.1731 -0.7818 -1.3001